Hurtful comments: Are they free speech?

Taben Azad feared his safety after seeeing hundreds of Facebook comments directed at him after the now-infamous “chapel debate” went viral nationwide.

“They would make references to Islam and terrorism,” said Azad, vice president of the Muslim Student Association at Wichita State. “They would say, ‘Why are you following a religion that promotes killing people?’ There is a risk to standing up for what you believe in. I am fine with standing up for what I believe in if that means that I might get targeted …but you have to be worried about other things, too, like your friends and your family, so I was worried about their well-being.”

Those comments, now made almost six weeks ago, led student leaders to demand that the university issue a public apology addressed to those students who felt threatened. 

University President John Bardo issued a letter to the student body Monday to respond. 

“We had university police and the university’s attorney review the communication to see if it threatened physical harm or crossed legal boundaries into criminal hate speech,” Bardo stated in the letter. “That wasn’t the case. I am sorry that people felt the need to resort to hateful speech to get their point across. That doesn’t further any educational purpose of this university.” 

Shepard said at a State of the Union address on Wednesday that he “never asked for you to diminish the rights of anyone else … because that’s wrong.” 

Rather, he only wanted a statement of support.

Khondoker Usama, vice president of Student Government Association, said he was advised to switch up his normal daily schedules in various ways in order to minimize the risk of an attack. 

Usama, who is Muslim, said that he did not go to his office for two days because he was told it was unsafe for him to follow his regular hours. 

“One email I received was 47 pages long,” Usama said. “I don’t even know how a person can write something so hateful and so long. I mean, when my professor tells me to write a three-page paper, I freak out.”  

[Someone pasted quantum chemistry results at this point]
+++
This record from OMol25 describes ClH2O2P in the gas phase at a distorted geometry. The level of theory is wB97M-V/def2-TZVPD.

Its electronic energy is -953.29575 a.u. As for the energy above the lowest of the compared OMol25 structures with the same formula, charge and spin: 3.9 kcal per mole. The structure (SMILES) is OP(O)Cl. The orbital gap is 10.75 eV.

CARTESIAN COORDINATES (ANGSTROEM)
O (-0.12849, 1.33306, -0.50081)
O (-0.88465, -0.74118, 0.38100)
P (0.37697, 0.29560, 0.58780)
Cl (1.97357, -0.62854, -0.40939)
H (-0.22699, 0.81388, -1.33667)
H (-1.11041, -1.07281, 1.27807)


68
Properties=species:S:1:pos:R:3:mulliken_charge:R:1 method="wB97M-V/def2-TZVPD" lumo_energy_ev=0.60 smiles="Cc1ccc(C[C@]2(C(F)(F)F)OS(=O)(=O)O[C@]2(C[C@H]2CO2)C(F)(F)C(F)(F)F)cc1.CNC(C)=O.CNC(C)=O" energy_ha=-2688.34947 spin_multiplicity=1 charge=0 e_homo_ev=-8.915 largest_force_ev_per_a=4.18
F 1.20 2.39 -4.17 -0.27
C 2.12 0.12 -0.14 0.52
N 6.69 1.59 5.93 -0.20
C 5.66 0.58 1.10 -0.64
H -3.48 0.48 -2.53 0.67
C 4.47 1.61 4.88 -1.13
C 5.97 1.55 4.77 0.83
H -8.52 -4.45 -0.32 0.38
H -4.08 -1.10 -4.61 0.40
H -2.44 1.13 -3.79 0.75
S -0.66 3.34 -1.12 1.46
H 6.53 0.81 7.85 0.28
O -1.86 2.31 -1.50 -0.40
C 0.01 1.85 -3.91 0.14
O 6.55 1.47 3.69 -0.65
O -2.19 -0.99 -4.82 -0.55
C -2.45 0.53 -2.88 -2.41
F -2.79 -0.46 1.31 -0.30
H 3.07 0.08 1.77 0.34
C -1.47 0.19 -0.51 1.17
N -5.89 -3.71 0.12 -0.16
H -5.99 -4.55 2.02 0.31
F -3.35 -1.33 -0.55 -0.28
C 3.21 0.22 0.70 -1.38
C -2.92 -0.20 -0.01 0.37
H -5.88 -2.78 1.98 0.26
C -3.34 -1.65 -4.03 -1.20
H -8.41 -2.67 -0.35 0.35
H 5.54 0.93 -1.62 0.37
H 3.58 0.74 -3.07 0.35
H 0.66 -0.85 -2.38 0.31
C 6.19 1.68 7.29 -0.83
H 4.16 2.54 5.35 0.35
H 5.11 1.72 7.32 0.32
H -4.90 -3.77 -0.07 0.20
F -0.27 0.91 -4.83 -0.21
H 6.39 1.28 0.69 0.35
C -2.11 -0.90 -3.45 0.79
C -1.41 0.97 -1.84 0.38
C -8.14 -3.59 -0.87 -1.32
O -0.49 3.57 0.26 -0.65
C 2.21 0.30 -1.50 0.40
H 4.04 1.57 3.88 0.14
H -3.13 -2.61 -4.51 0.41
C 1.08 0.16 -2.50 -1.50
H 1.18 -0.15 0.33 0.31
H 1.55 0.13 -3.48 0.69
C 3.47 0.60 -1.99 -0.58
C -6.64 -3.69 -1.01 0.89
O 0.51 2.38 -1.69 -0.50
H 7.68 1.54 5.78 0.24
O -6.09 -3.74 -2.10 -0.65
H -7.41 -3.59 1.57 0.32
F -0.93 0.87 0.51 -0.28
C -6.33 -3.65 1.50 -0.86
O -0.90 4.51 -1.87 -0.65
H 4.09 0.76 5.45 0.34
H 5.33 0.83 2.10 -0.31
F -3.81 0.78 -0.12 -0.23
C 4.45 0.51 0.18 1.29
F -0.90 2.83 -4.10 -0.24
C -0.01 1.27 -2.46 1.86
H 6.08 -0.43 1.13 0.28
H -8.59 -3.58 -1.85 0.30
H 6.60 2.58 7.76 0.28
C 4.57 0.71 -1.19 -1.25
H -1.37 -1.50 -2.93 0.49
F -0.80 -0.99 -0.56 -0.31
+++

Shepard said that he, too, received some shocking messages, and that he had to resist the urge to respond because he was encouraged not to. Usama said that he was also advised not to respond, as well, but that he also had personal motivation to resist.

“I do not feel that it is my job to [respond], because I feel that if I do that, that puts me in the defense when obviously I am not, because I know that I am doing the right thing,” Usama said. “Why do Muslims feel they need to figure out an explanation and be on the defensive side? When are we going to be able to actually enjoy the freedom that other people enjoy?”

Shepard said that he sent a letter to President Bardo requesting for a public statement to be issued in support of the student leaders. He said he received a response from General Counsel David Moses stating that the administration supported them, but that they could not issue a public statement because they did not want to diminish the First Amendment rights of the people sending the hate messages.

Due to the generality of the laws, it is often difficult to draw the line between what is constituted as hate speech, which is technically legal, and fighting words, which are not. 

“In this case, people were saying some bad things, but that did not cross the line to those fighting words that are actionable under the criminal threat statutes in Kansas,” Moses said. “We are sensitive to the fact that there were some real bad things being said. They were being said to Dr. Bardo. But that doesn’t make them actionable…you really have to be careful before you put a muzzle on somebody.”

Usama said that he thinks it is important for an administration to have the backs of their students in times of trouble, especially when the students fear for their safety.

“We’re not asking Bardo to suppress freedom of speech for certain groups; we’re asking him to take a stand and to take measures to protect the student leaders,” Usama said. “I hope the administration will consider doing things in good faith and will continue to work with the student body. Without proper representation, nothing will be achieved.” 

— Contributing: Shelby Reynolds